'''
1.
Simulated XRD peak list of SrScAgSe3 for Cu Kα, from a structure optimized by DFT (GGA-PBE).
Neutral-atom scattering factors, no anomalous dispersion.

Most intense lines, 5° ≤ 2θ ≤ 70°, sorted by position:
- 30.35°, d 2.945, I = 22
- 30.52°, d 2.929, I = 100
- 30.64°, d 2.918, I = 18
- 31.10°, d 2.876, I = 40
- 31.56°, d 2.835, I = 17
- 34.24°, d 2.619, I = 26
- 42.26°, d 2.138, I = 18
- 43.67°, d 2.073, I = 27
- 45.11°, d 2.010, I = 38
- 49.33°, d 1.848, I = 23

Structural model:
Cell: 9.0577 9.0577 8.5573 Å, 102.04 102.04 25.64°
Fractional coordinates of all 12 atoms:
Sr: 0.1332 0.1332 0.0737
Sr: 0.8668 0.8668 0.9263
Sc: 0.1667 0.1667 0.5862
Sc: 0.8333 0.8333 0.4138
Ag: 0.4706 0.4706 0.2875
Ag: 0.5294 0.5294 0.7125
Se: 0.0000 0.0000 0.5000
Se: 0.3155 0.3155 0.1868
Se: 0.3255 0.3255 0.6280
Se: 0.5000 0.5000 0.0000
Se: 0.6745 0.6745 0.3720
Se: 0.6845 0.6845 0.8132



2.
Simulated XRD peak list of Sc2SiAg2Sn for Cu Kα, from a structure optimized by DFT (GGA-PBE).
Neutral-atom scattering factors, no anomalous dispersion.

Most intense lines, 5° ≤ 2θ ≤ 70°, sorted by position:
- 8.54°, d 10.353, I = 3
- 24.29°, d 3.665, I = 65
- 32.71°, d 2.738, I = 3
- 40.18°, d 2.244, I = 100
- 47.48°, d 1.915, I = 20
- 47.56°, d 1.912, I = 10
- 58.08°, d 1.588, I = 11
- 58.23°, d 1.584, I = 5
- 63.88°, d 1.457, I = 5
- 63.96°, d 1.456, I = 7

Structural model:
Cell: 10.9864 4.4953 10.9921 Å, 90.00 109.56 90.00°
Fractional coordinates of all 24 atoms:
Sc: 0.0000 0.0000 0.0000
Sc: 0.1167 0.5000 0.3671
Sc: 0.2509 0.0000 0.7428
Sc: 0.3862 0.5000 0.1246
Sc: 0.5128 0.0000 0.5118
Sc: 0.6334 0.5000 0.8825
Sc: 0.7517 0.0000 0.2514
Sc: 0.8797 0.5000 0.6337
Si: 0.0027 0.0000 0.4974
Si: 0.5086 0.0000 0.0046
Si: 0.7565 0.0000 0.7560
Si: 0.8768 0.5000 0.1257
Ag: 0.1180 0.5000 0.6128
Ag: 0.2648 0.0000 0.9988
Ag: 0.3784 0.5000 0.3775
Ag: 0.5140 0.0000 0.7653
Ag: 0.6326 0.5000 0.1229
Ag: 0.7670 0.0000 0.5128
Ag: 0.8739 0.5000 0.8800
Ag: 0.9922 0.0000 0.2469
Sn: 0.1299 0.5000 0.8742
Sn: 0.2518 0.0000 0.2493
Sn: 0.3799 0.5000 0.6293
Sn: 0.6325 0.5000 0.3802

=====

# 1
CdAs2S18N12O6F12: calculated powder diffraction line list (Cu Kα (λ = 1.5418 Å)), based on DFT lattice parameters and positions (PBE).

Atomic structure:
Lattice parameters (Å, degrees): 9.3572 10.5639 11.4197 65.44 81.14 87.09
Space group P-1 (No. 2)
Symmetry-distinct sites (fractional):
1 Cd 0.0000 0.0000 0.0000 x1
2 As 0.2809 0.3022 0.3551 x2
3 S 0.0995 0.3133 0.0283 x2
4 S 0.1078 0.4317 0.7569 x2
5 S 0.1674 0.8830 0.3848 x2
6 S 0.2363 0.8864 0.6838 x2
7 S 0.2702 0.9019 0.1829 x2
8 S 0.3227 0.0252 0.7664 x2
9 S 0.3252 0.3593 0.9083 x2
10 S 0.3378 0.7372 0.9148 x2
11 S 0.3479 0.6663 0.3923 x2
12 N 0.0246 0.4010 0.8994 x2
13 N 0.2301 0.7318 0.4640 x2
14 N 0.2498 0.7405 0.8067 x2
15 N 0.2734 0.4067 0.7682 x2
16 N 0.3824 0.7779 0.2440 x2
17 N 0.3942 0.8920 0.8744 x2
18 O 0.0730 0.1594 0.0730 x2
19 O 0.1504 0.8484 0.1396 x2
20 O 0.1928 0.0745 0.8302 x2
21 F 0.1136 0.2311 0.3532 x2
22 F 0.2117 0.4730 0.2841 x2
23 F 0.2185 0.2943 0.5129 x2
24 F 0.3438 0.3096 0.1961 x2
25 F 0.3508 0.1315 0.4256 x2
26 F 0.4491 0.3734 0.3544 x2

The 10 most intense peaks (5° ≤ 2θ ≤ 70°), in order of rising 2θ:
- 13.8 deg, 6.421 Å, I = 48.3, hkl 1 0 -1
- 18.5 deg, 4.799 Å, I = 100.0, hkl 1 0 2
- 19.2 deg, 4.622 Å, I = 54.2, hkl 2 0 0
- 19.9 deg, 4.466 Å, I = 31.1, hkl 2 0 1
- 20.7 deg, 4.299 Å, I = 33.6, hkl 1 2 2
- 21.0 deg, 4.237 Å, I = 82.3, hkl 1 2 0
- 22.5 deg, 3.946 Å, I = 34.2, hkl -2 1 1
- 25.5 deg, 3.498 Å, I = 34.7, hkl 0 3 1
- 27.0 deg, 3.304 Å, I = 53.8, hkl -1 1 3
- 27.8 deg, 3.208 Å, I = 44.0, hkl 2 0 -2


# 2
Cd2AsO4F: calculated powder diffraction line list (Cu Kα (λ = 1.5418 Å)), based on DFT lattice parameters and positions (PBE).

Atomic structure:
Lattice parameters (Å, degrees): 14.5441 6.9895 10.9658 90.00 120.61 90.00
Space group C2/c (No. 15)
Symmetry-distinct sites (fractional):
1 Cd 0.0525 0.2397 0.4905 x8
2 Cd 0.1536 0.3951 0.8485 x8
3 As 0.1771 0.0938 0.3069 x8
4 O 0.0822 0.0362 0.1356 x8
'''

Could you return the notes above from the line with "0.8333 0.4138" to the end with every line break kept?

Sc: 0.8333 0.8333 0.4138
Ag: 0.4706 0.4706 0.2875
Ag: 0.5294 0.5294 0.7125
Se: 0.0000 0.0000 0.5000
Se: 0.3155 0.3155 0.1868
Se: 0.3255 0.3255 0.6280
Se: 0.5000 0.5000 0.0000
Se: 0.6745 0.6745 0.3720
Se: 0.6845 0.6845 0.8132



2.
Simulated XRD peak list of Sc2SiAg2Sn for Cu Kα, from a structure optimized by DFT (GGA-PBE).
Neutral-atom scattering factors, no anomalous dispersion.

Most intense lines, 5° ≤ 2θ ≤ 70°, sorted by position:
- 8.54°, d 10.353, I = 3
- 24.29°, d 3.665, I = 65
- 32.71°, d 2.738, I = 3
- 40.18°, d 2.244, I = 100
- 47.48°, d 1.915, I = 20
- 47.56°, d 1.912, I = 10
- 58.08°, d 1.588, I = 11
- 58.23°, d 1.584, I = 5
- 63.88°, d 1.457, I = 5
- 63.96°, d 1.456, I = 7

Structural model:
Cell: 10.9864 4.4953 10.9921 Å, 90.00 109.56 90.00°
Fractional coordinates of all 24 atoms:
Sc: 0.0000 0.0000 0.0000
Sc: 0.1167 0.5000 0.3671
Sc: 0.2509 0.0000 0.7428
Sc: 0.3862 0.5000 0.1246
Sc: 0.5128 0.0000 0.5118
Sc: 0.6334 0.5000 0.8825
Sc: 0.7517 0.0000 0.2514
Sc: 0.8797 0.5000 0.6337
Si: 0.0027 0.0000 0.4974
Si: 0.5086 0.0000 0.0046
Si: 0.7565 0.0000 0.7560
Si: 0.8768 0.5000 0.1257
Ag: 0.1180 0.5000 0.6128
Ag: 0.2648 0.0000 0.9988
Ag: 0.3784 0.5000 0.3775
Ag: 0.5140 0.0000 0.7653
Ag: 0.6326 0.5000 0.1229
Ag: 0.7670 0.0000 0.5128
Ag: 0.8739 0.5000 0.8800
Ag: 0.9922 0.0000 0.2469
Sn: 0.1299 0.5000 0.8742
Sn: 0.2518 0.0000 0.2493
Sn: 0.3799 0.5000 0.6293
Sn: 0.6325 0.5000 0.3802

=====

# 1
CdAs2S18N12O6F12: calculated powder diffraction line list (Cu Kα (λ = 1.5418 Å)), based on DFT lattice parameters and positions (PBE).

Atomic structure:
Lattice parameters (Å, degrees): 9.3572 10.5639 11.4197 65.44 81.14 87.09
Space group P-1 (No. 2)
Symmetry-distinct sites (fractional):
1 Cd 0.0000 0.0000 0.0000 x1
2 As 0.2809 0.3022 0.3551 x2
3 S 0.0995 0.3133 0.0283 x2
4 S 0.1078 0.4317 0.7569 x2
5 S 0.1674 0.8830 0.3848 x2
6 S 0.2363 0.8864 0.6838 x2
7 S 0.2702 0.9019 0.1829 x2
8 S 0.3227 0.0252 0.7664 x2
9 S 0.3252 0.3593 0.9083 x2
10 S 0.3378 0.7372 0.9148 x2
11 S 0.3479 0.6663 0.3923 x2
12 N 0.0246 0.4010 0.8994 x2
13 N 0.2301 0.7318 0.4640 x2
14 N 0.2498 0.7405 0.8067 x2
15 N 0.2734 0.4067 0.7682 x2
16 N 0.3824 0.7779 0.2440 x2
17 N 0.3942 0.8920 0.8744 x2
18 O 0.0730 0.1594 0.0730 x2
19 O 0.1504 0.8484 0.1396 x2
20 O 0.1928 0.0745 0.8302 x2
21 F 0.1136 0.2311 0.3532 x2
22 F 0.2117 0.4730 0.2841 x2
23 F 0.2185 0.2943 0.5129 x2
24 F 0.3438 0.3096 0.1961 x2
25 F 0.3508 0.1315 0.4256 x2
26 F 0.4491 0.3734 0.3544 x2

The 10 most intense peaks (5° ≤ 2θ ≤ 70°), in order of rising 2θ:
- 13.8 deg, 6.421 Å, I = 48.3, hkl 1 0 -1
- 18.5 deg, 4.799 Å, I = 100.0, hkl 1 0 2
- 19.2 deg, 4.622 Å, I = 54.2, hkl 2 0 0
- 19.9 deg, 4.466 Å, I = 31.1, hkl 2 0 1
- 20.7 deg, 4.299 Å, I = 33.6, hkl 1 2 2
- 21.0 deg, 4.237 Å, I = 82.3, hkl 1 2 0
- 22.5 deg, 3.946 Å, I = 34.2, hkl -2 1 1
- 25.5 deg, 3.498 Å, I = 34.7, hkl 0 3 1
- 27.0 deg, 3.304 Å, I = 53.8, hkl -1 1 3
- 27.8 deg, 3.208 Å, I = 44.0, hkl 2 0 -2


# 2
Cd2AsO4F: calculated powder diffraction line list (Cu Kα (λ = 1.5418 Å)), based on DFT lattice parameters and positions (PBE).

Atomic structure:
Lattice parameters (Å, degrees): 14.5441 6.9895 10.9658 90.00 120.61 90.00
Space group C2/c (No. 15)
Symmetry-distinct sites (fractional):
1 Cd 0.0525 0.2397 0.4905 x8
2 Cd 0.1536 0.3951 0.8485 x8
3 As 0.1771 0.0938 0.3069 x8
4 O 0.0822 0.0362 0.1356 x8